Sunday, September 30, 2007

March of the Penguins

Evolution is so economical.

Penguins warm their eggs between their legs! How awkward this is! They can't walk fast, they can easily drop the eggs, and the male penguins need to maintain that posture for 4 months of the year!

What if there is a predator around the icy corner?

No, there isn't. That's the point. Evolution is not about elegance but practicality. It works for the little tuxie birds. No natural predators around, so they can afford to look awkward and be clumsy.

However, if there is ever a designer, His better work is obviously something with a pouch, hopping high and far gracefully. Penguins are perhaps the early prototype and most likely never went on to beta testing.

But they are still cute, so it's not an entirely lousy design.

Saturday, September 22, 2007

Tuesday, September 18, 2007

My Dating in the Bay Area

Plus on vieillit, plus on devient difficile と言われている。Fast vor einem Monat habe ich mich von einem ziemlich attraktiven Mädchen getrennt. Avant ça, une autre rupture était en janvier. ところで、彼女が今年の夏にもう結婚した。Die meisten meiner Freunde haben innerhalb von vergangenen ein paar Jahren geheiratet und ihre Erstgeborene bekommen. ピアプレッシャーの本物の意味を今だんだん分かれ始める。Ne te méprends pas, autant j’aime la liberté célibataire, autant je suis prêt pour une famille. Aber ich habe « the right girl » schon nicht gefunden. Mais j’ai déjà cassé avec deux filles au cours des 10 dernièrs mois. 沢山の友達が同じ質問をあると思うだろう。Bin ich dafür zu wählerisch?

Je ne pense pas, mais il doit en être ainsi. Ich denke, daβ ich eine vergleicheweise groβe Auswahl von Interessen habe. スポーツもよくするし、文化や芸術も好きだし、ずっと自分を忙しくならせる。Si je veux parler d’Orsay à Paris et ma compagne seulement sait tous les nouvelles de Paris Hilton, ça ne marche pas. 相手が同じじゃない言葉を話す人と話したくなければ、難しいね。Mann könnte fragen ob es etwas narzisstisch ist. Je ne crois pas que une fille sait tout ce que je sais, parce qu’il y a beaucoup trop de choses que je ne sais pas. 中国の哲人が『闻道有先后』や『三人行必有我师焉』といったように、だれでも僕の先生で、ずっと周辺の人から習ってきた。Il ne faut pas que la fille idéale soit sophistiquée ou parfaite, mais il faut qu’elle soit ouverte d’esprit et ait le potentiel pour être parfait.

今週末ハイキングに行こうと思う。Zusammen gehen vier Familien und zwei mir. Dois-je céder à la pression de groupe? Something’s gotta to give ?


Last words on God

"It is very important not to mistaken hemlock for parsley; but not at all so to believe or not in God."

- Denis Diderot in response to Voltaire

Don’t get me wrong. Not that I don’t care. It just seems that we don’t have any direct evidence for or against the existence of God.

(A little disclaimer is hereby warranted by now.

"The figure “God” discussed here is not associated with any earthly religion, especially not with Judaeo-Christianity. Any similarity to any person living or dead is merely coincidental.")

However, many circumstantial ones do exist. If you watch as much Law & Order as I do, you should know by now that circumstantial evidences hardly make a case.

Here is my logic that the existence of God is possible and cannot be disproved by mere common senses or primitive observations. Following is a list of things that seem intuitive and appear to agree with casual perceptions.

- The earth is flat
- The earth is stationary
- The sun moves around the earth
- Things are made of fundamentally different elements.
- The space has three dimensions
- The universe is static

And so on. Most of us now agree that the things listed above are false. Imagine 6-dimensional creatures live among us but we can’t see them, or you can get the shortest distance between two points by warping the space, or the universe is mostly composed of dark matter. Many times, things we cannot perceive or even possibly fathom do exist.

That the earth is moving and circling the sun was as ridiculous to the Europeans in the 1500’s as the existence of God to the atheists.

Nevertheless, Buddha once cautioned that we shouldn’t believe something just because it’s possible. It’s possible that God exists, but it doesn’t mean that it does.

If God does exist, it should be nothing like the one depicted in the Bible, in either volumes.

A popular Chinese fable goes like this:

『An armor peddler claims to make the best spears and shields.
He says: My shields are so strong they cannot be penetrated by any weapon. He then points to his spears and says: My spears are so sharp they can pierce any shield. A bystander asks: What happens if you throw your spear at your shield?』

If we take the Bible literally, we should believe the universe is only a few thousand years old. If we argue that the biblical definition of time is different from our common understanding, we then have no way to understand the biblical definitions of “good” or “evil”.

Therefore, if a Christian God exists, He will be restrained to the Judaeo-Christian logic and face such paradox as: Can God create a rock so heavy that He himself can’t lift?

However, I do hope there is a God in the universe. Life would be so simple. All the questions can be answered easily or have the potential to be answered easily. But He sure knows how to run and hide. So far we can't find him. He is like the ultimate Mr. bin Laden.

C’est bon. Genug gesagt.

Friday, September 14, 2007

Miss Teen South Carolina vs George W

Bush at APEC 2007

Talking at a business forum on the eve of an Asia-Pacific Economic Cooperation (APEC) summit in Sydney, Mr Bush told Mr Howard: "Mr Prime Minister, thank you for your introduction. Thank you for being such a fine host for the OPEC summit."

He continued his blunders by thanking Australian premier John Howard for visiting 'Austrian troops' in Iraq.

There are no Austrian troops there, although Australia has 1,500 military personnel in the region.

Wednesday, September 05, 2007

fantaisies africaines


Transparent Screens from Apple (iScreen)

Following its sensational successes of iMac, iPod and iPhone, Apple presents the next generation of computer screen: iScreen. It's transparent! Suggested retail price: $799 (14").

You are a Chinese if...

**Next to the text, the page also holds records of molecules**
/*
DFT (ωB97M-V/def2-TZVPD) results for 2 unconnected molecules or ions with the total composition C5H7NO.

Properties
* frontier orbital gap (alpha / beta): 8.572 / 8.214 eV
* multiplicity: 1
* E_HOMO (alpha / beta): -8.362 / -8.732 eV
* energy relative to the best compared isomer or geometry (same formula, charge and spin): 7.039 eV

Geometry as XYZ:
```
14
Properties=species:S:1:pos:R:3:lowdin_charge:R:1
C 1.685 1.085 -0.615 -0.128
C 1.240 -1.394 -0.590 -0.042
C 1.707 -0.758 0.721 -0.243
C 0.832 -0.014 -0.245 -0.102
C -1.925 0.842 0.586 0.094
N 2.829 1.036 -0.038 0.072
O 2.918 -0.067 0.770 -0.060
H 1.442 1.913 -1.251 0.111
H 1.930 -1.543 -1.409 0.112
H 0.533 -2.196 -0.449 0.102
H 1.442 -1.215 1.660 0.146
H -2.343 -0.143 0.571 -0.020
H -2.011 1.470 -0.272 -0.023
H -1.505 1.228 1.490 -0.018
```



DFT (ωB97M-V/def2-TZVPD) results for a molecular structure, C22H25BrClN5O5PRhS.

Properties
* net charge: +2
* frontier orbital gap: 8.161 eV
* multiplicity: 1
* E_HOMO: -13.328 eV
* energy relative to the best compared isomer or geometry (same formula, charge and spin): 0.000 eV

Geometry as XYZ:
```
62
Properties=species:S:1:pos:R:3:lowdin_charge:R:1
Rh 0.092 0.195 -0.496 0.675
O 4.318 -0.768 3.886 0.137
C 3.440 -0.670 2.893 -0.275
C 3.755 -0.882 1.546 0.035
C 2.758 -0.763 0.609 -0.086
N 1.493 -0.448 0.925 -0.014
C 1.217 -0.259 2.219 -0.364
Br 0.144 2.439 0.566 0.230
C 2.126 -0.351 3.235 0.121
H 5.189 -1.051 3.578 0.138
H 4.754 -1.166 1.242 0.130
H 2.949 -0.937 -0.441 0.119
H 1.832 -0.196 4.262 0.157
O -0.080 0.098 2.560 -0.202
S -1.260 -0.905 2.187 0.807
O -1.070 -2.172 2.808 -0.194
N -1.269 -0.868 0.622 -0.250
C -1.780 -2.017 -0.054 -0.250
C -2.854 -2.771 0.325 0.011
C -3.208 -3.917 -0.422 -0.027
C -2.500 -4.290 -1.528 -0.002
C -1.389 -3.520 -1.945 -0.129
C -0.599 -3.816 -3.078 0.034
C 0.453 -3.005 -3.404 -0.016
C 0.725 -1.879 -2.610 -0.097
N 0.011 -1.587 -1.547 -0.040
C -1.039 -2.385 -1.197 -0.171
C -2.622 -0.060 2.839 -0.298
C -3.040 -0.381 4.129 -0.031
C -4.137 0.288 4.639 -0.038
C -4.786 1.248 3.870 -0.029
C -4.351 1.553 2.586 -0.036
C -3.256 0.895 2.052 -0.042
H -3.439 -2.509 1.197 0.124
H -4.057 -4.503 -0.101 0.122
H -2.781 -5.165 -2.099 0.127
H -0.837 -4.685 -3.680 0.134
H 1.075 -3.204 -4.264 0.119
H 1.539 -1.206 -2.845 0.107
H -2.528 -1.143 4.701 0.126
H -4.490 0.059 5.635 0.122
H -5.647 1.761 4.277 0.122
H -4.868 2.299 1.999 0.120
H -2.900 1.111 1.053 0.092
Cl -1.604 0.873 -1.947 0.123
N 4.279 3.624 -1.564 0.141
C 2.954 3.222 -0.956 -0.214
P 2.082 2.243 -2.272 0.422
O 3.082 2.218 -3.386 -0.317
O 1.592 0.905 -1.760 -0.486
C 0.685 3.277 -2.860 -0.229
N 0.017 2.565 -3.991 0.122
H 4.277 3.154 -2.513 0.117
H 5.076 3.304 -1.019 0.166
H 4.367 4.632 -1.683 0.168
H 2.408 4.100 -0.624 0.086
H 3.124 2.586 -0.091 0.078
H 1.094 4.210 -3.244 0.115
H -0.052 3.465 -2.081 0.048
H -0.546 1.774 -3.581 0.011
H 0.701 2.202 -4.660 0.160
H -0.623 3.181 -4.494 0.172
```



DFT (ωB97M-V/def2-TZVPD) results for a single C4H5N3O molecule.

Properties
*/
**The text goes on**

A list of old stereotypes, but some are still funny and true. =)